_Job_
Please print all of the entries below word for word.

_File_
The following is a quantum chemistry calculation of one molecule with the formula C4H8N2O, from OMol25.

Last column: Mulliken charge in e.
Atoms and positions in Å:
C  0.4904  1.5100  -0.7686  -1.173
C  0.2968  0.1033  -0.2617  0.489
O  1.8062  -0.8381  2.6667  -0.356
C  -0.8837  -0.6791  -0.7929  -0.528
N  -2.1269  0.0365  -0.5181  -0.578
C  1.1245  -0.4347  0.6000  0.258
N  2.0043  -0.9757  1.2857  -0.544
H  1.3601  1.9850  -0.3092  0.361
H  -0.4015  2.1087  -0.5617  0.313
H  0.6362  1.4966  -1.8559  0.289
H  2.5769  -1.2947  3.0293  0.376
H  -0.8487  -1.7071  -0.4003  0.335
H  -0.7773  -0.7474  -1.8839  0.315
H  -2.2738  0.0893  0.4821  0.222
H  -2.9140  -0.4785  -0.8951  0.220

Values from the calculation:
- structure (SMILES) = CC(=C=NO)CN
- energy above the lowest of the compared OMol25 structures with the same formula, charge and spin (kJ/mol) = 373.1
- total charge = 0
- E_LUMO (eV) = 0.95

***

The following is a quantum chemistry calculation of a 2-piece molecular cluster, C4H8N2O overall, from OMol25.

Last column: Mulliken charge in e.
Atoms and positions in Å:
C  1.3818  -1.3005  -0.9852  -0.889
N  0.7698  -0.5987  0.1263  -0.406
C  -0.6266  -0.3753  0.0721  -0.293
C  -1.2144  -0.0927  1.2358  -0.310
O  -0.6105  -0.1944  2.4554  -0.542
C  -0.7935  2.5022  -0.6778  0.184
N  -0.0082  2.6425  -1.5103  -0.384
H  1.1773  -0.8309  -1.9611  0.307
H  2.4602  -1.3255  -0.8078  0.308
H  1.0074  -2.3286  -1.0119  0.323
H  1.1584  0.3366  0.1941  0.239
H  -1.1549  -0.2142  -0.8717  0.434
H  -1.4726  2.2746  0.1236  0.227
H  -2.2184  0.3094  1.2718  0.449
H  0.1442  -0.8045  2.3465  0.352

Values from the calculation:
- structure (SMILES) = CN/C=C\O.C#N
- energy above the lowest of the compared OMol25 structures with the same formula, charge and spin (kJ/mol) = 286.7
- total charge = 0
- E_LUMO (eV) = 0.90

_Done_
The following is a quantum chemistry calculation of one molecule with the formula C4H8N2O, from OMol25.

Last column: Mulliken charge in e.
Atoms and positions in Å:
C  0.4904  1.5100  -0.7686  -1.173
C  0.2968  0.1033  -0.2617  0.489
O  1.8062  -0.8381  2.6667  -0.356
C  -0.8837  -0.6791  -0.7929  -0.528
N  -2.1269  0.0365  -0.5181  -0.578
C  1.1245  -0.4347  0.6000  0.258
N  2.0043  -0.9757  1.2857  -0.544
H  1.3601  1.9850  -0.3092  0.361
H  -0.4015  2.1087  -0.5617  0.313
H  0.6362  1.4966  -1.8559  0.289
H  2.5769  -1.2947  3.0293  0.376
H  -0.8487  -1.7071  -0.4003  0.335
H  -0.7773  -0.7474  -1.8839  0.315
H  -2.2738  0.0893  0.4821  0.222
H  -2.9140  -0.4785  -0.8951  0.220

Values from the calculation:
- structure (SMILES) = CC(=C=NO)CN
- energy above the lowest of the compared OMol25 structures with the same formula, charge and spin (kJ/mol) = 373.1
- total charge = 0
- E_LUMO (eV) = 0.95

***

The following is a quantum chemistry calculation of a 2-piece molecular cluster, C4H8N2O overall, from OMol25.

Last column: Mulliken charge in e.
Atoms and positions in Å:
C  1.3818  -1.3005  -0.9852  -0.889
N  0.7698  -0.5987  0.1263  -0.406
C  -0.6266  -0.3753  0.0721  -0.293
C  -1.2144  -0.0927  1.2358  -0.310
O  -0.6105  -0.1944  2.4554  -0.542
C  -0.7935  2.5022  -0.6778  0.184
N  -0.0082  2.6425  -1.5103  -0.384
H  1.1773  -0.8309  -1.9611  0.307
H  2.4602  -1.3255  -0.8078  0.308
H  1.0074  -2.3286  -1.0119  0.323
H  1.1584  0.3366  0.1941  0.239
H  -1.1549  -0.2142  -0.8717  0.434
H  -1.4726  2.2746  0.1236  0.227
H  -2.2184  0.3094  1.2718  0.449
H  0.1442  -0.8045  2.3465  0.352

Values from the calculation:
- structure (SMILES) = CN/C=C\O.C#N
- energy above the lowest of the compared OMol25 structures with the same formula, charge and spin (kJ/mol) = 286.7
- total charge = 0
- E_LUMO (eV) = 0.90